Masbia Relief Mentioned In The Washington Post: ‘Insular’ Orthodox Jews Mobilize To Save Lives, From Haiti To Kabul
Posted on: September 1, 2021Read the article below by Rabbi Avi Shafran, published in The Washington Post, about the Hasidic Jewish community helping Haiti after being hit by a 7.2 earthquake that has claimed more than 2000 Haitians lives. Alexander Rapaport, Executive Director of Masbia, urged his fellow Jews to participate in the Haiti Relief Campaign.
‘Insular’ Orthodox Jews Mobilize To Save Lives, From Haiti To Kabul
The moment Hurricane Ida was forecast to hit the Gulf Coast, Intensive Specialty Hospital, which has two facilities in Louisiana, got in touch with the Federal Emergency Management Agency to offer its resources. The hospital’s owners, Mark Tress, and Stephen Werdiger are Orthodox Jews committed to community service.
Two weeks earlier, after the devastating Aug. 14 Haiti earthquake that killed more than 2,000 people, Aron B. Wieder had helped organize fellow Hasidic Jews in Rockland County, New York, where he is a county legislator, to pack boxes of food and supplies for survivors of the 7.2 magnitude temblor.
“We live in the village of Spring Valley,” Wieder said as he announced the shipments. “We live together, we pray together, we mourn together, and we rejoice together. We are one. … We are all Haiti today.”
The legislator also noted where on the Jewish calendar the disaster fell.
“We are now approaching the Jewish High Holy Days, where we pray and beseech God to heal the world and for a better tomorrow,” he said. “It is also a time where we are being judged by God and there is no better way to enter God’s courtroom than by helping your fellow human being in pain.”
Reporting about the growing Orthodox Jewish population in Rockland County often portrays these communities, and others in upstate New York and parts of New Jersey, as insular.
This portrait is not entirely inaccurate. But the insularity of “ultra-Orthodox,” or Haredi, Jews is not born of aloofness or prejudice. Rather, like many religious communities, the Haredim, busy with large families they view as blessings and with the demanding routines of being observant Jews, naturally focus inward. If they reject the surrounding popular culture, it is because it is glaringly at odds with traditional Jewish life.
But Haredi is no less compassionate than any other religious tradition and is committed to helping those who suffer, whoever they are.
The earthquake showed how the differences between this insular group and its neighbors can recede in times of disaster. Christel-Ann Augustin, of the Haitian American Nurses Association of Hudson Valley, told a local reporter: “Seeing everyone come together lights up my heart. Everything takes collaboration, it takes a community effort, seeing people from different organizations, different ethnic groups coming together helping (in) a common goal.”
Bishop Paul D. Laplante of the First Haitian Church of God of Middletown, New York, arranged the shipment, through the Spring Valley nonprofit Konbit Neg Lakay and Rockland Haiti Relief groups.
Another Hasidic organizer of the Haiti effort, an indefatigable man named Alexander Rapaport, urged his fellow Jews to participate. “Let’s share what we’ve got here,” said Rapaport, who runs Masbia, a large soup kitchen in Brooklyn that serves restaurant-style to preserve clients’ dignity. “We’re going to send it to our brothers and sisters in Haiti who are suffering.”
New York State Assemblyman Simcha Eichenstein, a Haredi Jew, called on “all New Yorkers, no matter your background, race or religion, to step up, contribute, join this effort. We are at our best when we are united.”
Meanwhile, in Lakewood, New Jersey, home of the country’s largest Haredi yeshiva, One Ocean County, a Haredi-run organization, raised funds to buy more than a thousand dollars worth of toys for Afghan refugee children, enlisting another Haredi-run group, Olam Chesed, to assist in the effort.
A different sort of effort by Haredim took place just after the horrific bombing at the Kabul airport.
Rabbi Moshe Margaretten of Tzedek Association, a prison reform group based in Monsey, New York, saw an article detailing the plight of an Afghan woman named Suneeta, a permanent resident of the U.S. since 2018.
Suneeta, who lives in Albany, New York, had four children under 18 living with relatives in Afghanistan. Her husband, who had assisted U.S. troops, has been missing for eight years. Now, with the Taliban back in control of her native land, she feared for her children’s lives.
Even before the bombing, Margaretten had made efforts to reach Sara Lowry, a staff attorney for the U.S. Committee for Refugees and Immigrants, on Suneeta’s behalf.
But when news of the bombing arrived, he said, “I figured those kids were probably near the airport and in danger, and I decided I absolutely had to reach the lawyer.”
With the help of Lipa Boyarski, another Haredi activist, he finally reached Lowry, who had located the children. Margaretten had earlier put together a group of former U.S. Delta Force officers and Afghans to facilitate human transport in Kabul, and he reached out to his network of Orthodox Jewish donors. Within 24 hours, he had garnered donations totaling some $100,000 for rescue operations.
He also appealed to the office of Senate Majority Leader Chuck Schumer and the White House, and the necessary papers to allow the children entry to the U.S. were quickly arranged.
The children, it turned out, had been waiting near the airport for 30 hours, trying to get on one of the last flights out of Kabul.
Margaretten, with the help of Israeli American businessman Moti Kahana, had their contacts in Afghanistan help the children navigate Taliban checkpoints. The children were flown to Qatar, and then to New York to be reunited with their mother.
Margaretten and Kahana’s teams previously helped in the earlier effort to evacuate the Afghan women’s soccer team.
### Inserted here: data records
5
Lattice="-4.003 -4.098 -2.224 -0.709 -2.362 5.629 -4.521 3.849 1.045" Properties=species:S:1:pos:R:3 comment="BiTe2IBr, relaxed, DFT PBE" dft_energy_ev_per_cell=-11.3 dos_at_fermi_per_ev_cell=5.2 space_group="No. 123" pbc="T T T"
Bi 0.000 0.000 0.000
I -2.261 1.924 0.523
Br -4.617 -1.306 2.225
Te -0.355 -1.181 2.814
Te -2.001 -2.049 -1.112



5
Lattice="6.042 0.000 0.000 0.000 6.042 0.000 0.000 0.000 6.325" Properties=species:S:1:pos:R:3 comment="BiTeI2Br, relaxed, DFT PBE" dft_energy_ev_per_cell=-10.8 dos_at_fermi_per_ev_cell=4.9 space_group="No. 123" pbc="T T T"
Te 0.000 0.000 3.163
Bi 0.000 0.000 0.000
I 3.021 0.000 0.000
I 0.000 3.021 0.000
Br 3.021 3.021 3.163

=====

Entry 1:
This record from Alexandria describes a relaxed ScIn5Rh6 crystal. The functional is PBE.

Properties
As for the density: 10.14 g/cm3. The formation energy comes out at -0.5717 eV/atom. The space group is No. 10.

```
ScIn5Rh6
1.0
4.5001 0.0000 0.0000
0.0000 6.6650 0.0000
-2.2413 0.0000 6.7489
Sc In Rh
1 5 6
Direct
0.0000 0.0000 0.0000
0.0000 0.5000 0.0000
0.3336 0.5000 0.6676
0.3359 0.0000 0.6719
0.6641 0.0000 0.3281
0.6664 0.5000 0.3324
0.1673 0.2493 0.3344
0.1673 0.7507 0.3344
0.5000 0.2521 0.0000
0.5000 0.7479 0.0000
0.8327 0.2493 0.6656
0.8327 0.7507 0.6656
```

---

Entry 2:
This record from Alexandria describes a relaxed Sc4InRh2 crystal. The functional is PBE.

Properties
As for the density: 5.97 g/cm3. The formation energy comes out at -0.6416 eV/atom. The space group is No. 63.

```
Sc4InRh2
1.0
2.3993 -4.1573 0.0000
2.3993 4.1573 0.0000
0.0000 0.0000 13.9642
Sc In Rh
8 2 4
Direct
0.0000 0.0000 0.0000
0.0000 0.0000 0.5000
0.3329 0.6671 0.6278
0.3329 0.6671 0.8722
0.3340 0.6660 0.2500
0.6660 0.3340 0.7500
0.6671 0.3329 0.1278
0.6671 0.3329 0.3722
0.0007 0.9993 0.2500
0.9993 0.0007 0.7500
0.3335 0.6665 0.0588
0.3335 0.6665 0.4412
0.6665 0.3335 0.5588
0.6665 0.3335 0.9412
```

---

Entry 3:
This record from Alexandria describes a relaxed Sc5InRh6 crystal. The functional is PBE.

Properties
As for the density: 7.89 g/cm3. The formation energy comes out at -0.9628 eV/atom. The space group is No. 65.

```
Sc5InRh6
1.0
2.2763 -6.8287 0.0000
2.2763 6.8287 0.0000
0.0000 0.0000 6.4762
Sc In Rh
5 1 6
Direct
0.0000 0.0000 0.0000
0.3334 0.6666 0.0000
0.3368 0.6632 0.5000
0.6632 0.3368 0.5000
0.6666 0.3334 0.0000
0.0000 0.0000 0.5000
0.1688 0.8312 0.2488
0.1688 0.8312 0.7512
0.5000 0.5000 0.2427
0.5000 0.5000 0.7573
0.8312 0.1688 0.2488
0.8312 0.1688 0.7512
```

---

Entry 4:
This record from Alexandria describes a relaxed Sc6InRh2 crystal. The functional is PBE.

Properties
As for the density: 5.09 g/cm3. The formation energy comes out at -0.5885 eV/atom. The space group is No. 71.

```
Sc6InRh2
1.0
-4.4171 4.4693 4.8815
4.4171 -4.4693 4.8815
4.4171 4.4693 -4.8815
Sc In Rh
12 2 4
Direct
0.0320 0.2392 0.7929
0.1865 0.2887 0.4752
0.1865 0.7113 0.8978
0.3272 0.0282 0.7010
0.3272 0.6262 0.2990
0.4463 0.2392 0.2071
0.5537 0.7608 0.7929
0.6728 0.3738 0.7010
### The data records stop here
“I feel this is my duty, especially as a Jew,” Margaretten says. “Our ancestors went through similar situations so many times, having to flee persecution. Our sages say that if one saves a life, it is as if he has saved the entire world. We are using all our energy, resources, and connections to save as many lives as possible.”
Read the original article HERE.
For the Haiti Relief Drive page click here.